What to do >
Write out the entries further below exactly, please.

Entries >
A relaxed structure of TbZr3N. Source: Alexandria, functional PBE.

The structure in extended XYZ format:
```
5
Lattice="0.000 0.202 4.649 -0.009 -4.649 0.202 4.653 -0.009 0.001" Properties=species:S:1:pos:R:3 pbc="T T T"
Tb 2.322 -2.228 2.426
Zr -0.004 -2.324 0.101
Zr 2.327 -0.004 0.000
Zr 0.000 0.101 2.324
N 0.000 0.000 0.000
```

SG: No. 221
Formation energy without anion corrections, kJ/mol of formula units: -276.4
Fermi-level density of states, states/eV/atom: 0.850

----------

# 1
{"formula": "Mg3SiGe", "functional": "GGA-PBE", "state": "optimized geometry", "volume_a3_per_cell": 122.5, "de_polymorph_mev_per_atom": 0, "raw_formation_energy_mev_per_atom": 303, "magmom_total_mub_per_cell": 0.00, "lattice_angstrom": [[-3.117, -1.226, -3.667], [3.045, -3.682, -1.357], [-2.383, -3.100, 3.063]], "species": ["Mg", "Mg", "Ge", "Si", "Mg"], "fractional_positions": [[0.500, 0.000, 0.000], [0.000, 0.500, 0.000], [0.500, 0.500, 0.500], [0.000, 0.000, 0.000], [0.000, 0.000, 0.500]]}

---

# 2
{"formula": "Mg2Si2Ge", "functional": "GGA-PBE", "state": "optimized geometry", "volume_a3_per_cell": 187.5, "raw_formation_energy_mev_per_atom": 67, "magmom_total_mub_per_cell": 0.00, "lattice_angstrom": [[-5.820, 3.186, 1.577], [-2.761, -5.956, 1.848], [1.324, 0.555, 3.767]], "species": ["Si", "Si", "Si", "Ge", "Mg", "Mg", "Mg", "Ge", "Si", "Mg"], "fractional_positions": [[0.122, 0.378, 0.000], [0.378, 0.878, 0.000], [0.622, 0.122, 0.000], [0.500, 0.500, 0.000], [0.179, 0.679, 0.500], [0.821, 0.321, 0.500], [0.321, 0.179, 0.500], [0.000, 0.000, 0.000], [0.878, 0.622, 0.000], [0.679, 0.821, 0.500]]}

---

# 3
{"formula": "Mg4SiGe", "functional": "GGA-PBE", "state": "optimized geometry", "volume_a3_per_cell": 126.8, "de_polymorph_mev_per_atom": 512, "raw_formation_energy_mev_per_atom": 296, "magmom_total_mub_per_cell": 0.00, "lattice_angstrom": [[-5.357, -1.279, 1.209], [-3.871, -0.090, -4.099], [-2.182, -4.910, -1.710]], "species": ["Mg", "Si", "Mg", "Ge", "Mg", "Mg"], "fractional_positions": [[0.625, 0.125, 0.625], [0.000, 0.000, 0.000], [0.625, 0.625, 0.125], [0.250, 0.250, 0.250], [0.125, 0.625, 0.625], [0.625, 0.625, 0.625]]}

---

# 4
{"formula": "MgSiGe", "functional": "GGA-PBE", "state": "optimized geometry", "volume_a3_per_cell": 120.2, "de_polymorph_mev_per_atom": 42, "raw_formation_energy_mev_per_atom": 42, "magmom_total_mub_per_cell": 0.00, "lattice_angstrom": [[3.798, -0.005, -0.004], [1.862, 5.780, -0.001], [1.888, 2.065, 5.473]], "species": ["Si", "Si", "Mg", "Ge", "Ge", "Mg"], "fractional_positions": [[0.551, 0.292, 0.630], [0.449, 0.708, 0.370], [0.744, 0.780, 0.706], [0.059, 0.762, 0.092], [0.941, 0.238, 0.908], [0.256, 0.220, 0.294]]}

---

# 5
{"formula": "MgSiGe", "functional": "GGA-PBE", "state": "optimized geometry", "volume_a3_per_cell": 69.5, "de_polymorph_mev_per_atom": 83, "raw_formation_energy_mev_per_atom": 82, "magmom_total_mub_per_cell": 0.00, "lattice_angstrom": [[3.841, 0.000, 0.000], [-1.920, 3.326, 0.000], [0.000, 0.000, 5.443]], "species": ["Mg", "Si", "Ge"], "fractional_positions": [[0.333, 0.667, 0.944], [0.333, 0.667, 0.428], [0.667, 0.333, 0.617]]}

---

# 6
{"formula": "Mg4SiGe", "functional": "GGA-PBE", "state": "optimized geometry", "volume_a3_per_cell": 130.2, "de_polymorph_mev_per_atom": 0, "raw_formation_energy_mev_per_atom": -217, "magmom_total_mub_per_cell": 0.00, "lattice_angstrom": [[-2.541, 0.951, -3.610], [3.562, -0.689, -2.689], [-1.579, -6.163, -0.512]], "species": ["Mg", "Mg", "Mg", "Mg", "Si", "Ge"], "fractional_positions": [[0.500, 0.000, 0.251], [0.000, 0.500, 0.251], [0.500, 0.000, 0.749], [0.000, 0.500, 0.749], [0.500, 0.500, 0.500], [0.000, 0.000, 0.000]]}

---

# 7

Reply >
A relaxed structure of TbZr3N. Source: Alexandria, functional PBE.

The structure in extended XYZ format:
```
5
Lattice="0.000 0.202 4.649 -0.009 -4.649 0.202 4.653 -0.009 0.001" Properties=species:S:1:pos:R:3 pbc="T T T"
Tb 2.322 -2.228 2.426
Zr -0.004 -2.324 0.101
Zr 2.327 -0.004 0.000
Zr 0.000 0.101 2.324
N 0.000 0.000 0.000
```

SG: No. 221
Formation energy without anion corrections, kJ/mol of formula units: -276.4
Fermi-level density of states, states/eV/atom: 0.850

----------

# 1
{"formula": "Mg3SiGe", "functional": "GGA-PBE", "state": "optimized geometry", "volume_a3_per_cell": 122.5, "de_polymorph_mev_per_atom": 0, "raw_formation_energy_mev_per_atom": 303, "magmom_total_mub_per_cell": 0.00, "lattice_angstrom": [[-3.117, -1.226, -3.667], [3.045, -3.682, -1.357], [-2.383, -3.100, 3.063]], "species": ["Mg", "Mg", "Ge", "Si", "Mg"], "fractional_positions": [[0.500, 0.000, 0.000], [0.000, 0.500, 0.000], [0.500, 0.500, 0.500], [0.000, 0.000, 0.000], [0.000, 0.000, 0.500]]}

---

# 2
{"formula": "Mg2Si2Ge", "functional": "GGA-PBE", "state": "optimized geometry", "volume_a3_per_cell": 187.5, "raw_formation_energy_mev_per_atom": 67, "magmom_total_mub_per_cell": 0.00, "lattice_angstrom": [[-5.820, 3.186, 1.577], [-2.761, -5.956, 1.848], [1.324, 0.555, 3.767]], "species": ["Si", "Si", "Si", "Ge", "Mg", "Mg", "Mg", "Ge", "Si", "Mg"], "fractional_positions": [[0.122, 0.378, 0.000], [0.378, 0.878, 0.000], [0.622, 0.122, 0.000], [0.500, 0.500, 0.000], [0.179, 0.679, 0.500], [0.821, 0.321, 0.500], [0.321, 0.179, 0.500], [0.000, 0.000, 0.000], [0.878, 0.622, 0.000], [0.679, 0.821, 0.500]]}

---

# 3
{"formula": "Mg4SiGe", "functional": "GGA-PBE", "state": "optimized geometry", "volume_a3_per_cell": 126.8, "de_polymorph_mev_per_atom": 512, "raw_formation_energy_mev_per_atom": 296, "magmom_total_mub_per_cell": 0.00, "lattice_angstrom": [[-5.357, -1.279, 1.209], [-3.871, -0.090, -4.099], [-2.182, -4.910, -1.710]], "species": ["Mg", "Si", "Mg", "Ge", "Mg", "Mg"], "fractional_positions": [[0.625, 0.125, 0.625], [0.000, 0.000, 0.000], [0.625, 0.625, 0.125], [0.250, 0.250, 0.250], [0.125, 0.625, 0.625], [0.625, 0.625, 0.625]]}

---

# 4
{"formula": "MgSiGe", "functional": "GGA-PBE", "state": "optimized geometry", "volume_a3_per_cell": 120.2, "de_polymorph_mev_per_atom": 42, "raw_formation_energy_mev_per_atom": 42, "magmom_total_mub_per_cell": 0.00, "lattice_angstrom": [[3.798, -0.005, -0.004], [1.862, 5.780, -0.001], [1.888, 2.065, 5.473]], "species": ["Si", "Si", "Mg", "Ge", "Ge", "Mg"], "fractional_positions": [[0.551, 0.292, 0.630], [0.449, 0.708, 0.370], [0.744, 0.780, 0.706], [0.059, 0.762, 0.092], [0.941, 0.238, 0.908], [0.256, 0.220, 0.294]]}

---

# 5
{"formula": "MgSiGe", "functional": "GGA-PBE", "state": "optimized geometry", "volume_a3_per_cell": 69.5, "de_polymorph_mev_per_atom": 83, "raw_formation_energy_mev_per_atom": 82, "magmom_total_mub_per_cell": 0.00, "lattice_angstrom": [[3.841, 0.000, 0.000], [-1.920, 3.326, 0.000], [0.000, 0.000, 5.443]], "species": ["Mg", "Si", "Ge"], "fractional_positions": [[0.333, 0.667, 0.944], [0.333, 0.667, 0.428], [0.667, 0.333, 0.617]]}

---

# 6
{"formula": "Mg4SiGe", "functional": "GGA-PBE", "state": "optimized geometry", "volume_a3_per_cell": 130.2, "de_polymorph_mev_per_atom": 0, "raw_formation_energy_mev_per_atom": -217, "magmom_total_mub_per_cell": 0.00, "lattice_angstrom": [[-2.541, 0.951, -3.610], [3.562, -0.689, -2.689], [-1.579, -6.163, -0.512]], "species": ["Mg", "Mg", "Mg", "Mg", "Si", "Ge"], "fractional_positions": [[0.500, 0.000, 0.251], [0.000, 0.500, 0.251], [0.500, 0.000, 0.749], [0.000, 0.500, 0.749], [0.500, 0.500, 0.500], [0.000, 0.000, 0.000]]}

---

# 7